**Material:**
~~~
Density functional theory data (PBE) for a geometry-optimized ErCl3 structure.

extended XYZ file:
```
8
Lattice="9.7390 0.0000 0.0000 -4.8695 8.4343 0.0000 0.0000 0.0000 3.5514" Properties=species:S:1:pos:R:3 pbc="T T T"
Er 0.0000 5.6228 0.8879
Er 4.8695 2.8114 2.6636
Cl 0.0000 3.6657 2.6636
Cl -1.6949 6.6014 2.6636
Cl 3.1746 1.8328 0.8879
Cl 1.6949 6.6014 2.6636
Cl 6.5645 1.8328 0.8879
Cl 4.8695 4.7686 0.8879
```

- VASP energy (eV/atom) = -4.74
- ΔH_f (0 K) (eV/atom) = -2.67


(1)
BaCa4Co2N4 after structural relaxation. Source: Materials Project, functional PBE.

Cell lengths 8.376, 8.376, 12.109 Å; angles 90.00, 90.00, 90.00 degrees
Positions (direct):
Ba  0.250  0.250  0.158
Ba  0.250  0.250  0.658
Ba  0.750  0.750  0.342
Ba  0.750  0.750  0.842
Ca  0.084  0.631  0.096
Ca  0.084  0.869  0.596
Ca  0.131  0.584  0.404
Ca  0.131  0.916  0.904
Ca  0.369  0.584  0.904
Ca  0.369  0.916  0.404
Ca  0.416  0.631  0.596
Ca  0.416  0.869  0.096
Ca  0.584  0.131  0.904
Ca  0.584  0.369  0.404
Ca  0.631  0.084  0.596
Ca  0.631  0.416  0.096
Ca  0.869  0.084  0.096
Ca  0.869  0.416  0.596
Ca  0.916  0.131  0.404
Ca  0.916  0.369  0.904
Co  0.094  0.594  0.750
Co  0.094  0.906  0.250
Co  0.406  0.594  0.250
Co  0.406  0.906  0.750
Co  0.594  0.094  0.250
Co  0.594  0.406  0.750
Co  0.906  0.094  0.750
Co  0.906  0.406  0.250
N  0.069  0.627  0.895
N  0.069  0.873  0.395
N  0.127  0.569  0.605
N  0.127  0.931  0.105
N  0.373  0.569  0.105
N  0.373  0.931  0.605
N  0.431  0.627  0.395
N  0.431  0.873  0.895
N  0.569  0.127  0.105
N  0.569  0.373  0.605
N  0.627  0.069  0.395
N  0.627  0.431  0.895
N  0.873  0.069  0.895
N  0.873  0.431  0.395
N  0.931  0.127  0.605
N  0.931  0.373  0.105

Results
Spin magnetization: 16.00 μB/cell


(2)
BaCa2Co2N4 after structural relaxation. Source: Materials Project, functional PBE.

Cell lengths 11.726, 8.060, 9.111 Å; angles 90.00, 90.00, 90.00 degrees
Positions (direct):
Ba  0.107  0.218  0.000
Ba  0.393  0.718  0.500
Ba  0.607  0.282  0.000
Ba  0.893  0.782  0.500
Ca  0.145  0.646  0.821
Ca  0.162  0.131  0.597
Ca  0.338  0.631  0.097
Ca  0.355  0.146  0.321
Ca  0.645  0.854  0.821
Ca  0.662  0.369  0.597
Ca  0.838  0.869  0.097
Ca  0.855  0.354  0.321
Co  0.007  0.574  0.126
Co  0.014  0.074  0.298
Co  0.486  0.574  0.798
Co  0.493  0.074  0.626
Co  0.507  0.926  0.126
Co  0.514  0.426  0.298
Co  0.986  0.926  0.798
Co  0.993  0.426  0.626
N  0.105  0.373  0.725
N  0.126  0.952  0.803
N  0.139  0.553  0.066
N  0.150  0.115  0.327
N  0.350  0.615  0.827
N  0.361  0.053  0.566
N  0.374  0.452  0.303
N  0.395  0.873  0.225
N  0.605  0.127  0.725
N  0.626  0.548  0.803
N  0.639  0.947  0.066
N  0.650  0.385  0.327
N  0.850  0.885  0.827
N  0.861  0.447  0.566
N  0.874  0.048  0.303
N  0.895  0.627  0.225

Results
Spin magnetization: 0.00 μB/cell


Values for energy, eV/atom, ordered as above
-5.8771 -6.0247
Values for formation energy, eV/atom, ordered as above
-0.78 -0.24


(1)
A relaxed structure of YZnSn. Source: the Materials Project database, functional PBE.

V   284.1 Å³ per cell

abc: 4.511 4.511 16.119
angles: 90.00 90.00 120.00
Element x y z (fractional)
Y 0.000 0.000 0.000
Y 0.000 0.000 0.250
Y 0.000 0.000 0.500
Y 0.000 0.000 0.750
Zn 0.333 0.667 0.161
Zn 0.333 0.667 0.339
Zn 0.667 0.333 0.661
Zn 0.667 0.333 0.839
Sn 0.333 0.667 0.614
Sn 0.333 0.667 0.886
Sn 0.667 0.333 0.114
Sn 0.667 0.333 0.386


(2)
A relaxed structure of Na10Sc4Al4Si5S7O48. Source: the Materials Project database, functional PBE.

V   3013.5 Å³ per cell
Spin magnetization   0.00 μB per formula unit

abc: 8.864 15.297 22.227
angles: 89.09 89.63 89.87
Element x y z (fractional)
Na 0.000 0.000 0.000
Na 0.000 0.333 0.331
Na 0.057 0.974 0.673
Na 0.176 0.810 0.515
Na 0.188 0.171 0.504
Na 0.225 0.833 0.830
Na 0.235 0.498 0.498
Na 0.332 0.315 0.097
Na 0.351 0.644 0.419
Na 0.362 0.000 0.254
Na 0.367 0.992 0.756
Na 0.376 0.650 0.921
Na 0.380 0.320 0.591
Na 0.508 0.831 0.331
Na 0.509 0.497 0.999
Na 0.541 0.168 0.011
~~~

**Request:**
Please repeat the whole of the rows further above with every line break kept.

**Result:**
Density functional theory data (PBE) for a geometry-optimized ErCl3 structure.

extended XYZ file:
```
8
Lattice="9.7390 0.0000 0.0000 -4.8695 8.4343 0.0000 0.0000 0.0000 3.5514" Properties=species:S:1:pos:R:3 pbc="T T T"
Er 0.0000 5.6228 0.8879
Er 4.8695 2.8114 2.6636
Cl 0.0000 3.6657 2.6636
Cl -1.6949 6.6014 2.6636
Cl 3.1746 1.8328 0.8879
Cl 1.6949 6.6014 2.6636
Cl 6.5645 1.8328 0.8879
Cl 4.8695 4.7686 0.8879
```

- VASP energy (eV/atom) = -4.74
- ΔH_f (0 K) (eV/atom) = -2.67


(1)
BaCa4Co2N4 after structural relaxation. Source: Materials Project, functional PBE.

Cell lengths 8.376, 8.376, 12.109 Å; angles 90.00, 90.00, 90.00 degrees
Positions (direct):
Ba  0.250  0.250  0.158
Ba  0.250  0.250  0.658
Ba  0.750  0.750  0.342
Ba  0.750  0.750  0.842
Ca  0.084  0.631  0.096
Ca  0.084  0.869  0.596
Ca  0.131  0.584  0.404
Ca  0.131  0.916  0.904
Ca  0.369  0.584  0.904
Ca  0.369  0.916  0.404
Ca  0.416  0.631  0.596
Ca  0.416  0.869  0.096
Ca  0.584  0.131  0.904
Ca  0.584  0.369  0.404
Ca  0.631  0.084  0.596
Ca  0.631  0.416  0.096
Ca  0.869  0.084  0.096
Ca  0.869  0.416  0.596
Ca  0.916  0.131  0.404
Ca  0.916  0.369  0.904
Co  0.094  0.594  0.750
Co  0.094  0.906  0.250
Co  0.406  0.594  0.250
Co  0.406  0.906  0.750
Co  0.594  0.094  0.250
Co  0.594  0.406  0.750
Co  0.906  0.094  0.750
Co  0.906  0.406  0.250
N  0.069  0.627  0.895
N  0.069  0.873  0.395
N  0.127  0.569  0.605
N  0.127  0.931  0.105
N  0.373  0.569  0.105
N  0.373  0.931  0.605
N  0.431  0.627  0.395
N  0.431  0.873  0.895
N  0.569  0.127  0.105
N  0.569  0.373  0.605
N  0.627  0.069  0.395
N  0.627  0.431  0.895
N  0.873  0.069  0.895
N  0.873  0.431  0.395
N  0.931  0.127  0.605
N  0.931  0.373  0.105

Results
Spin magnetization: 16.00 μB/cell


(2)
BaCa2Co2N4 after structural relaxation. Source: Materials Project, functional PBE.

Cell lengths 11.726, 8.060, 9.111 Å; angles 90.00, 90.00, 90.00 degrees
Positions (direct):
Ba  0.107  0.218  0.000
Ba  0.393  0.718  0.500
Ba  0.607  0.282  0.000
Ba  0.893  0.782  0.500
Ca  0.145  0.646  0.821
Ca  0.162  0.131  0.597
Ca  0.338  0.631  0.097
Ca  0.355  0.146  0.321
Ca  0.645  0.854  0.821
Ca  0.662  0.369  0.597
Ca  0.838  0.869  0.097
Ca  0.855  0.354  0.321
Co  0.007  0.574  0.126
Co  0.014  0.074  0.298
Co  0.486  0.574  0.798
Co  0.493  0.074  0.626
Co  0.507  0.926  0.126
Co  0.514  0.426  0.298
Co  0.986  0.926  0.798
Co  0.993  0.426  0.626
N  0.105  0.373  0.725
N  0.126  0.952  0.803
N  0.139  0.553  0.066
N  0.150  0.115  0.327
N  0.350  0.615  0.827
N  0.361  0.053  0.566
N  0.374  0.452  0.303
N  0.395  0.873  0.225
N  0.605  0.127  0.725
N  0.626  0.548  0.803
N  0.639  0.947  0.066
N  0.650  0.385  0.327
N  0.850  0.885  0.827
N  0.861  0.447  0.566
N  0.874  0.048  0.303
N  0.895  0.627  0.225

Results
Spin magnetization: 0.00 μB/cell


Values for energy, eV/atom, ordered as above
-5.8771 -6.0247
Values for formation energy, eV/atom, ordered as above
-0.78 -0.24


(1)
A relaxed structure of YZnSn. Source: the Materials Project database, functional PBE.

V   284.1 Å³ per cell

abc: 4.511 4.511 16.119
angles: 90.00 90.00 120.00
Element x y z (fractional)
Y 0.000 0.000 0.000
Y 0.000 0.000 0.250
Y 0.000 0.000 0.500
Y 0.000 0.000 0.750
Zn 0.333 0.667 0.161
Zn 0.333 0.667 0.339
Zn 0.667 0.333 0.661
Zn 0.667 0.333 0.839
Sn 0.333 0.667 0.614
Sn 0.333 0.667 0.886
Sn 0.667 0.333 0.114
Sn 0.667 0.333 0.386


(2)
A relaxed structure of Na10Sc4Al4Si5S7O48. Source: the Materials Project database, functional PBE.

V   3013.5 Å³ per cell
Spin magnetization   0.00 μB per formula unit

abc: 8.864 15.297 22.227
angles: 89.09 89.63 89.87
Element x y z (fractional)
Na 0.000 0.000 0.000
Na 0.000 0.333 0.331
Na 0.057 0.974 0.673
Na 0.176 0.810 0.515
Na 0.188 0.171 0.504
Na 0.225 0.833 0.830
Na 0.235 0.498 0.498
Na 0.332 0.315 0.097
Na 0.351 0.644 0.419
Na 0.362 0.000 0.254
Na 0.367 0.992 0.756
Na 0.376 0.650 0.921
Na 0.380 0.320 0.591
Na 0.508 0.831 0.331
Na 0.509 0.497 0.999
Na 0.541 0.168 0.011